Our Oceans, as some may know, came from the ashes of Exivious. Well even that’s not quite true, as Our Oceans was originally envisaged as being a one-off side project, and Exivious was reduced to ashes only after Tymon Kruidenier abandoned that band after realising he didn’t want to return to being “just” the guitar player. This history is somewhat important, as this sophomore album from Our Oceans is a very different beast to the debut. And for that, I’m quite glad, as when it was first announced that Exivious existed no longer, and Our Oceans would be continuing, I was quite disappointed. Not that I don’t like the debut Our Oceans album by any stretch of the imagination, but I do far prefer the music of Exivious. Their blend of metal and jazz fusion instrumentals easily trumps the more mellow and dreamy Our Oceans debut for me.
Our Oceans came from Tymon’s desire to release a song-based album, and was initially a collaboration between him and Noora Häkkinen. However, creative differences meant Noora left before completion of the album. Well, I say before completion, but by all accounts the album was more or less complete, apart from vocals, and Tymon took these on himself. However, rather than this one-off side project getting Tymon’s song-based writing out of its system, and after the end of Exivious, Our Oceans has been streamlined to a trio for While Time Disappears. And that’s just the beginning of the changes!
Opening track and lead single Unravel is well titled, as within seconds any thoughts that this might be a continuation of the sound of the debut are unravelled. It sets the stall here, definitively stating that this will not be another mellow and dreamy affair. The song has its origins in the time when it remained uncertain whether it would be Exivious or Our Oceans which became the future, and that shows. This song has more than a little feel of Exivious about it. It’s clear there will be more aggression on While Time Disappears, more of the metal that wasn’t really present on the debut. As the album progresses, it also becomes obvious that the band is worrying far less about keeping within clear boundaries of any one style. The debut gave the impression that Tymon had envisioned a firm foundation to work on, with well planned blueprints of what to build upon them, so that the whole seemed somewhat constrained. While Time Disappears, however, seems more like it was built from only rough outlines, and although Tymon may still have had a map, he was happy taking whatever direction felt right at the time. It all feels more natural and fluid, and yet still an entirely cohesive listen.
Weeping Lead follows, and immediately pulls back to less beast and more beauty. If Our Oceans was Tymon’s idea of creating song-based material, this is proof that he’s taken it one step further, into singer-songwriter territory. Throughout the album I’m reminded of troubadours such as Nick Drake and Tim Buckley (though Tymon, vocally, probably sounds more like Jeff than Tim). The song changes halfway through, and Yuma van Eekelen sounds great on the drums. I love his playing throughout, and though Jasper Barendregt is a great drummer as well, there is no doubt in my mind that Yuma is the right man for Our Oceans. His drumming is definitely a highlight for me.
But I also have to make particular note of the playing of Robin Zielhorst on bass, who has played with Tymon in Cynic and Exivious, as well as Our Oceans, and his interplay with Tymon’s guitar playing is absolutely beautiful. Robin also more than fills the gap left from the absence of a second guitar player. The music of Our Oceans on this album feels so much more alive than that of the debut, and I think this is due to the more sparse and concise sound made from the trio, with Robin’s bass work the most obvious example of this. There is honestly no need for a second guitarist on While Time Disappears.
Weeping Lead turns into something that sounds part Alice in Chains and part Mater Thallium. It’s all bendy and doomy, and wonderfully heavy. Tymon’s tortured vocals just before the song begins to fade into the ether are glorious. This is a standout song that was an obvious choice for a single. That the following The Heart’s Whisper was also a single makes me glad I hadn’t listened to any of the singles prior to the album release, as it meant they were all new to me. (I long ago gave up on listening to singles before the release of an album, as they can too easily give the wrong impression, out of context.) Again, it starts out far quieter than it ends up. The crescendos and climaxes (yes, plural) are a roller coaster of emotion that is essentially the album in microcosm.
It might seem a strange way to end a review, but these three opening songs and singles do give a very good idea of what to expect within this album. The three musicians exist in the liminal space between power trio and jazz trio, with a sound a little like Leprous meets Radiohead via The Mars Volta, with occasional Floydian overtones, playing Nick Drake and Tim Buckley, with Allan Holdsworth on guitar – yes, I really did just compare Tymon’s playing to Holdsworth – deal with it! I may have come to this album somewhat reluctantly, knowing this band was responsible for the demise of Exivious, but I have been well and truly won over. I may originally have been disappointed to hear that Our Oceans was not a one-off, but I’m now excited at the prospect of what this band might do next. While Time Disappears makes it clear that Our Oceans do not feel at all bound by what came before, and songs like Your Night, My Dawn (probably my favourite song on the album), make it clear that nor are they bound by the present. It almost goes without saying that I’m already intrigued about where they might go next.
01. Unravel (4:48)
02. Weeping Lead (5:03)
03. The Heart’s Whisper (5:29)
____________
# C4H7NO2

One molecule with the formula C4H7NO2 (wB97M-V/def2-TZVPD, the OMol25 dataset).

Positions of all 14 atoms, in Å:
C 1.728 -0.020 -0.099
N 1.137 -0.764 -0.916
H -2.296 -0.513 -0.630
C -0.285 -1.103 -0.945
H -0.518 -1.432 -1.965
H -0.813 -0.404 1.424
H 2.815 0.053 -0.093
O 1.243 0.746 0.962
H -0.155 1.809 -0.123
C 0.000 1.334 0.849
H -0.137 1.993 1.704
O -1.072 0.357 0.863
H -0.337 -2.024 -0.321
C -1.310 -0.033 -0.711

Output
gap between HOMO and LUMO	8.077	eV
highest occupied orbital energy	-7.56	eV
energy above the lowest of the compared OMol25 structures with the same formula, charge and spin	535.2	kJ/mol
E	-9841.73230	eV


# C4H10N3OS

An isolated ion of composition C4H10N3OS and charge +1 in a non-equilibrium geometry (wB97M-V/def2-TZVPD, the OMol25 dataset).

Positions of all 19 atoms, in Å:
O -0.527 2.974 0.267
N -0.108 -3.119 1.193
C -0.514 -0.856 0.824
H -0.193 0.981 -0.454
H 2.160 -0.945 -0.853
H 0.958 -2.354 -1.395
H 0.790 3.045 -1.279
H 0.002 4.629 -0.804
H 0.771 -0.682 -2.062
S -1.138 0.729 1.532
C -0.465 1.651 0.317
H -1.468 -1.804 2.341
H -0.781 3.452 -1.839
N -0.693 -1.920 1.601
C -0.144 3.550 -0.924
N 0.287 -0.679 -0.086
H 0.553 -3.441 1.806
H -0.623 -3.954 0.961
C 1.135 -1.257 -1.146

Output
gap between HOMO and LUMO	8.097	eV
highest occupied orbital energy	-13.20	eV
energy above the lowest of the compared OMol25 structures with the same formula, charge and spin	397.6	kJ/mol
charge	+1
E	-21652.32299	eV


# C3H10NO2S

A 2-piece molecular cluster, C3H10NO2S overall in a non-equilibrium geometry (wB97M-V/def2-TZVPD, the OMol25 dataset).

Positions of all 17 atoms, in Å:
H -0.962 0.850 0.928
C 1.728 0.676 0.805
H -0.659 -0.886 1.200
H 1.019 -0.286 -0.932
H -0.612 1.263 -1.571
O -2.625 -3.413 -0.144
C 0.607 0.337 -0.274
C -0.751 -0.113 0.326
H -0.278 2.314 -0.442
N 0.248 1.652 -0.979
H 1.507 1.755 1.354
H 1.891 -0.058 1.627
H 2.739 1.301 -1.480
H -3.520 -2.998 0.209
H -1.876 -2.835 0.165
O -1.647 -0.406 -0.560
S 3.192 0.848 -0.234

Output
gap between HOMO and LUMO	6.315	eV
highest occupied orbital energy	-3.02	eV
energy above the lowest of the compared OMol25 structures with the same formula, charge and spin	200.4	kJ/mol
charge	-1
E	-19691.99984	eV


# C34H65As2CrGeN2O3Si3

C34H65As2CrGeN2O3Si3 as an isolated structure in a non-equilibrium geometry (wB97M-V/def2-TZVPD, the OMol25 dataset).

Positions of all 111 atoms, in Å:
H 2.911 -14.910 2.337
H 8.509 -16.115 -1.829
C 8.280 -24.066 3.481
H 5.583 -13.961 -0.395
C 8.228 -25.894 0.488
H 8.341 -15.465 3.941
H 2.544 -20.714 3.298
C 7.423 -15.782 4.418
H 1.952 -14.910 0.878
H 10.540 -19.828 5.069
H 6.931 -19.169 -3.565
H 3.429 -16.285 3.774
H 3.724 -21.526 -2.848
H 6.904 -12.950 0.350
C 9.047 -15.154 1.394
H 9.777 -14.557 0.846
H 3.162 -16.723 -1.798
H 8.574 -25.733 -0.542
H 5.561 -19.908 -4.442
O 5.904 -19.997 -0.500
H 4.813 -22.992 -2.963
C 1.942 -20.967 5.364
N 6.380 -21.678 3.771
H 3.209 -28.083 3.155
C 11.941 -19.148 3.514
H 2.848 -18.093 2.090
C 5.105 -24.231 2.789
____________
_So much for the calculated molecules_
04. Motherly Flame (5:33)
05. Passing By (4:41)
06. Face Them (5:27)
07. Your Night, My Dawn (6:58)
08. You Take (5:23)
09. With Hands Torn Open (5:59)
Total Time – 49:21
Tymon Kruidenier – Vocals, Guitars
Robin Zielhorst – Bass, Vocals
Yuma van Eekelen – Drums
Record Label: Long Branch Records
Country of Origin: The Netherlands
Date of Release: 27th November 2020